The Subtle Signs of Traumatic Brain Injury
Published on December 12, 2011When something outside the body hits the head with significant force, or when the brain itself is impacted internally as a result of severe whiplash, it can result in traumatic brain injury (TBI). A TBI is a type of acquired brain injury (one that isn’t degenerative, congenital, or hereditary in nature) that is specifically the result of external violence to the head, either through impact (such as a car wreck) or penetration (such as shrapnel or a bullet). TBIs often result in a loss of consciousness at the scene of the accident, which can be dangerous and means additional medical care is needed.
Understanding head trauma
Unfortunately, many assume that once a person has been sent home, there is nothing else to worry about. This can be a very dangerous assumption, since any significant trauma to the head can have delayed symptoms that are subtle and debilitating, and can last months or even years after the original accident.
Severe symptoms of traumatic brain injury require immediate medical care and can include:
- Persistent headaches
- Balance problems
- Intermittent nausea
- Excessive sleepiness
- Slurred speech
- Vomiting
- Confusion
Concussion vs. brain injury
There’s a growing recognition in the United States of the seriousness of brain injuries. For instance, fans of team sports like football have probably noticed how schools and professional leagues have created new rules and protocols dealing with concussions. But it’s worth noting the difference between a concussion and a brain injury.
A traumatic brain injury is any injury to the brain resulting from a blow to the head or body. It can be just an impact, or it can involve penetration of the brain tissue. TBIs range in seriousness from mild to moderate to severe. Symptoms can be anything from headaches, tingling in the hands after hitting the head, or the feeling of pins and needles after a head injury, to permanent brain damage and loss of vision, and can even be deadly. People can experience traumatic brain injury symptoms years later.
A concussion is a type of traumatic brain injury where brain function is affected by a jarring blow or collision to the head or body. The brain is jostled back and forth in the skull, which can damage brain cells and alter brain chemistry. Some refer to a concussion as a mild TBI, though often such a head injury has delayed symptoms too.
The physical forces at work in most automobile accidents create the risk of much more severe brain injury vs. just a concussion.
Identifying the more subtle symptoms of a traumatic brain injury
The immediate signs of traumatic brain injury should be obvious to most people, and if observed, the injured person must consult with a physician as soon as possible. But there are other, more delayed symptoms after a head injury that can be just as important but are often overlooked. These symptoms could indicate long-term problems, like scalp numbness or tingling in hands after hitting your head, that may increase with time.
Family members and loved ones should watch out for the following symptoms, which could be indicative of long-term problems from a traumatic head injury:
Personality changes
This is a big one and could be one of the more detrimental long-term symptoms of a head injury. The brain is a very delicate organ and how it’s affected can vary depending on the type of head injury and the specific location of impact. For example, a blow to the frontal region might result in a person being more risk-prone than usual, or having trouble inhibiting certain behaviors that were kept under control prior to the injury.
Attached: data records:
- - -
1.
Below is 2 unconnected molecules or ions with the total composition C4H8O2, with properties calculated with ωB97M-V with the def2-TZVPD basis set.

Positions of all 14 atoms, in Å:
C -1.715394 -1.380777 -0.440198
C -1.825108 -0.480622 0.516474
O -2.140484 0.841826 0.294610
H -1.250813 -2.330595 -0.232544
H -1.999742 -1.108298 -1.442829
H -1.590747 -0.735037 1.548525
H -1.373759 1.369838 0.538875
C 1.482472 1.234978 -0.822240
C 1.954408 0.483406 0.162101
O 1.842399 -0.862247 0.211718
H 1.505654 2.305828 -0.735481
H 0.985598 0.811079 -1.681754
H 2.435300 1.022060 0.974973
H 1.690210 -1.171434 1.107764

Atoms 1-2, force components in eV/Å:
C -0.06 0.35 -0.07
C 0.80 0.07 0.30

The energy above the lowest of the compared OMol25 structures with the same formula, charge and spin comes out at 64.4 kcal/mol. As for the total charge: 0. Its structure (SMILES) is C=CO.C=CO.

=====

2.
Below is a single C4H6N2O2 molecule, with properties calculated with ωB97M-V with the def2-TZVPD basis set.

Positions of all 14 atoms, in Å:
C 1.746703 -1.158133 0.196284
C 0.676153 -0.349067 0.012353
C -1.065575 -0.095898 1.686704
C -0.897294 0.918071 -2.485039
H 1.432640 -2.266347 0.088598
H 2.071024 -1.112173 1.346673
H 2.650817 -0.917461 -0.285350
H -2.253785 0.310167 2.036850
H -1.805193 1.312441 -2.804913
H -0.241196 -0.039035 -2.911091
N 0.653216 0.554330 -0.898923
N -0.515822 1.156720 -1.293537
O -0.725547 -0.958848 0.527324
O 0.028548 0.314501 2.149506

Atoms 1-2, force components in eV/Å:
C 3.22 -5.01 5.39
C -6.23 2.65 -3.10

The energy above the lowest of the compared OMol25 structures with the same formula, charge and spin comes out at 133.0 kcal/mol. As for the total charge: 0. Its structure (SMILES) is C=N/N=C(/C)OC=O.

=====

3.
Below is a single C4H12N2O molecule, with properties calculated with ωB97M-V with the def2-TZVPD basis set.

Positions of all 19 atoms, in Å:
C 0.522791 -0.182017 0.453335
C -0.726398 0.119914 1.374608
C -1.705975 1.137751 0.582027
O 0.004559 0.613213 2.586727
N 0.210749 -1.052884 -0.602810
C 0.716956 -1.000885 -1.899305
N 0.883762 0.320899 -2.503537
H 1.491684 -0.640338 1.007422
H 0.935452 0.838846 0.126022
H -1.292735 -0.789766 1.593132
H -1.165636 2.123561 0.784305
H -1.731214 0.721314 -0.421350
H -2.773292 1.279454 0.880252
H 0.086031 -0.027309 3.240634
H 0.235885 -2.056554 -0.342223
H 0.095526 -1.638050 -2.525961
H 1.581763 -1.778627 -2.049535
H 1.777660 0.636654 -2.136281
H 0.216575 1.100425 -2.169793

Atoms 1-2, force components in eV/Å:
C 2.34 0.57 1.23
C 1.45 0.08 0.12

The energy above the lowest of the compared OMol25 structures with the same formula, charge and spin comes out at 76.3 kcal/mol. As for the total charge: 0. Its structure (SMILES) is C[C@H](O)CNCN.

=====

4.
Below is a molecular structure, C25H37Ba2MnN4O5, with properties calculated with ωB97M-V with the def2-TZVPD basis set.

Positions of all 74 atoms, in Å:
Ba -8.387497 -17.421470 4.783677
Ba -7.269791 -15.685410 1.049187
Mn -0.072718 -18.127469 4.723341
- - -
So much for the data records:
Other changes could involve the emotions. The person may be less affectionate and more analytical than before. They may exhibit interests and behaviors that would have been foreign to them before the accident. The long-term symptoms of a traumatic brain injury can vary widely. The bottom line is that if the person is different after the accident in terms of behavior, emotional disposition, or general outlook, it warrants a follow-up with a medical professional.
Excessive lethargy
It’s natural for a person to be exhausted immediately after suffering a TBI. But if this general lethargy and exhaustion (mental and/or physical) continues after the body begins to heal, it’s an indication of lingering TBI problems. Changes in sleep patterns are especially important in determining these sorts of aftereffects. Sluggishness and general apathy are also indicators of potential long-term problems.
Vision issues
This symptom of a brain injury can be acute or subtle. Badly blurred vision after an accident is an obvious sign of a problem and will usually be noted soon after the car accident or other head trauma. Subtle vision changes are often ignored by the patient but may actually be a sign of acute long-term problems from a head injury. If the person has trouble reading up close or has more limited long-range vision, it could be a direct result of the head injury. Field-of-vision problems should be addressed immediately due to related problems they may cause, like increased susceptibility to accidents.
Numbness or tingling after head injury
After a head trauma, there may be lingering scalp numbness or sensation of pins and needles in certain areas of the body. This can be a symptom of a nerve disorder, or it could be related to actual damage to certain areas of the brain. These pins and needles after hitting your head often occur predominantly on one side of the body due to the way the brain splits control of the nervous system between hemispheres.
Faintness or balance problems
Oftentimes, there is a lingering predisposition to fainting that becomes apparent after hitting your head. Fainting typically occurs when there’s a disruption of the blood flow to the brain. This symptom often presents with lethargy and an increase in sleeping hours. Each of these symptoms can be caused by inadequate blood flow to the brain.
Memory problems
After a head injury, some memory problems are to be expected. But when they linger past the normal recovery period, it could be an indication of a more substantive injury than originally diagnosed. Forgetfulness, inability to recall names or places, worsened short-term recall, etc. are symptoms of traumatic brain injury. All of these can be signs of potential long-term damage to the brain’s ability to process and retain information.
Altered taste and smell
The olfactory organs are very sensitive and can easily be damaged by moderate head trauma. The symptoms may not be obvious at first. But over time, the person may note changes in tastes or smells. There are many possible causes for these problems, and it takes a thorough medical examination to determine the underlying problem and whether it’s treatable.
Persistent headaches or dizziness
You would naturally be on the lookout for pain in the head or other related conditions immediately after a blow to the head, but headaches and dizziness can be common enough and caused by such a wide variety of things that it might be easy to dismiss as something less serious. Numbness in the head after an injury, dizziness, and/or headaches could indicate a change in the brain, nerve damage, or damage to the brainstem caused by the injury.
Brain injury FAQs
Although we have much still to learn about how the brain works, medical science has made great strides, especially in the past few years. Educating yourself about the signs of traumatic brain injury after an accident — and what to do if you see them — could make all the difference in your or your loved one’s recovery after a TBI.
Can you have a brain injury and not know it?
Yes. Although some symptoms may be noticed immediately, there are some head injury delayed symptoms that may not be apparent for days or even weeks after the accident.
When should I get medical treatment for a head injury?
If you’ve experienced a head injury, you should get medical treatment right away. If you were seen by a doctor after the accident but were discharged, it’s still possible that you’ll suffer delayed symptoms after the head injury. It’s best to get to a doctor as soon as possible if you spot the subtle signs of traumatic brain injury, or even if you’re just concerned about the severity of the blow to the head. Treatment for traumatic head injuries can range from pain medication and rest to brain surgery and extensive rehabilitation.
How long does it take to recover from a traumatic brain injury?
• Data records, as found in the file:
┌──
[1]
This record from the Open Molecules 2025 dataset describes the molecule C17H16O5S. The level of theory is ωB97M-V with the def2-TZVPD basis set.

## Properties
**Orbital gap**: 9.3 eV
**Lowest unoccupied orbital energy**: 0.0 eV
**Spin multiplicity**: 1
**F_max**: 1.0 eV Å⁻¹

Each line ends with the Löwdin charge.
Cartesian coordinates (Å):
C -6.640 -2.277 0.073  -0.049
O -5.415 -1.679 0.466  -0.046
C -5.034 -0.606 -0.246  -0.458
O -5.684 -0.163 -1.162  0.111
C -3.747 -0.039 0.219  -0.124
C -3.241 1.079 -0.441  0.004
C -2.046 1.639 -0.040  -0.011
C -1.335 1.089 1.022  -0.196
C -0.029 1.707 1.443  -0.102
O 0.803 2.022 0.325  0.011
C 1.320 0.984 -0.330  -0.511
O 1.073 -0.166 -0.084  0.144
C 2.309 1.443 -1.384  -0.066
C 3.589 1.900 -0.661  -0.093
C 3.921 0.899 0.437  -0.454
O 3.737 1.162 1.608  0.076
C 4.408 -0.399 0.008  -0.456
C 4.817 -0.846 -1.227  -0.110
C 5.205 -2.193 -1.215  -0.175
C 5.085 -2.757 0.022  -0.397
S 4.508 -1.661 1.195  1.100
C -1.837 -0.029 1.675  -0.014
C -3.036 -0.590 1.282  0.002
H -6.796 -3.120 0.742  0.093
H -7.458 -1.559 0.162  0.097
H -6.583 -2.614 -0.964  0.098
H -3.804 1.491 -1.265  0.120
H -1.652 2.505 -0.551  0.121
H 0.517 1.033 2.110  0.136
H -0.194 2.666 1.942  0.142
H 2.513 0.601 -2.045  0.119
H 1.889 2.272 -1.953  0.126
H 4.412 1.990 -1.369  0.119
H 3.412 2.865 -0.185  0.127
H 4.854 -0.230 -2.107  0.113
H 5.554 -2.724 -2.082  0.102
H 5.308 -3.768 0.304  0.064
H -1.279 -0.465 2.491  0.119
H -3.425 -1.460 1.788  0.117



[2]
This record from the Open Molecules 2025 dataset describes a structure of composition C17H17AsN3O15SSe2W at a distorted geometry. The level of theory is ωB97M-V with the def2-TZVPD basis set.

## Properties
**Orbital gap**: 6.8 eV
**Charge**: +1
**Lowest unoccupied orbital energy**: -5.0 eV
**Spin multiplicity**: 1
**F_max**: 1.7 eV Å⁻¹
**Energy relative to the best compared isomer or geometry (same formula, charge and spin)**: 0.00 kJ/mol

Each line ends with the Löwdin charge.
Cartesian coordinates (Å):
W 0.125 0.500 0.168  1.499
O 0.911 -2.608 -2.799  -0.330
As 1.619 -1.597 -1.543  1.293
O 0.716 -0.669 1.513  -0.681
O 0.288 -0.297 -1.508  -0.638
C 2.607 -0.483 -2.808  -0.315
C 3.115 -1.048 -3.967  -0.077
C 3.770 -0.259 -4.904  -0.036
C 3.931 1.102 -4.694  -0.038
C 3.450 1.688 -3.534  -0.035
C 2.790 0.896 -2.603  -0.273
S 2.255 1.726 -1.138  0.592
O 2.208 0.671 -0.027  -0.490
O 3.115 2.828 -0.916  -0.201
O 0.788 2.071 -1.177  -0.513
H 0.594 -3.442 -2.428  0.040
H 2.979 -2.105 -4.149  0.107
H 4.155 -0.716 -5.806  0.119
H 4.440 1.712 -5.427  0.120
H 3.594 2.742 -3.342  0.124
O 2.471 1.331 2.690  -0.093
C 2.071 1.407 4.040  -0.202
C 0.569 1.669 4.145  -0.529
C 0.360 2.158 5.609  -0.208
O -1.001 2.294 5.959  -0.037
C 0.084 2.796 3.247  -0.439
Se 0.085 2.735 1.288  0.922
C -0.276 0.408 4.042  -0.354
Se -0.829 -0.455 2.408  1.248
H 3.430 1.315 2.634  0.112
H 2.603 2.215 4.555  0.139
H 2.300 0.473 4.568  0.139
H 0.909 3.092 5.751  0.139
H 0.792 1.414 6.284  0.142
H -1.284 3.205 5.850  0.103
└──
Recovery time after a traumatic brain injury depends on its severity. A concussion may require two to three weeks before symptoms go away. More severe traumatic brain injuries can mean months or years of rehab to regain lost brain function. Even so, full recovery isn’t always possible.
According to the Model Systems Knowledge Translation Center (MSKTC), a national research center that deals extensively with traumatic brain injury, at two years after a moderate or severe TBI, about 30% of people need some assistance from another person in their daily lives. Victims often still have trouble thinking, and about 25% experience depression. Roughly 50% can drive again, although maybe not as often or in the same way as they did before. Only 30% have a job, though not necessarily the same one they had before the TBI. Again, those statistics apply to victims who are two years into recovery, so further recovery is still possible, but it shows just how much time and work is necessary.
Can the brain heal itself after trauma?
Yes, the brain can heal itself to an extent, but it depends on the severity of the traumatic brain injury. For minor TBIs, rest may be enough. However, more severe TBIs may require extensive rehabilitation and therapy to aid the process, although full recovery is not guaranteed. Healthy behaviors, such as avoiding alcohol and drugs, also factor into the brain’s ability to heal. How quickly a TBI is diagnosed and then treated is also important.
Contact a brain injury lawyer
Any accident resulting in head trauma requires medical attention. You can still suffer traumatic brain injury symptoms years later, which can be extremely debilitating. The best asset for recovery is a good friend or family member who can help watch for lingering signs of traumatic brain injury that the injured person may be unable to identify on their own.
If you know someone who has experienced a head trauma due to an accident, be sure to seek medical attention right away as well as the services of a top brain injury lawyer. It can take months or even years of expensive medical treatments and therapy to recover from a TBI. A skilled traumatic brain injury lawyer can help you get the compensation you deserve to cover the cost of past and ongoing treatment. If the road to recovery after a TBI is a long one, don’t let money worries be one more obstacle to overcome.